### To do
Next, count the lines below that contain the word "Structural" and give the number alone.
### File
____________
[1]
Starting from a DFT-relaxed cell (PBE, Alexandria), the powder diffractogram of AgHg5Pd6 was computed for Cu Ka.
Lines closer than 0.1° are merged.

Structural model:
abc: 4.8628 6.1567 7.2024
angles: 90.00 97.65 90.00
Fractional positions:
Ag (0.0000, 0.0000, 0.0000)
Hg (0.0000, 0.5000, 0.0000)
Hg (0.3295, 0.0000, 0.6739)
Hg (0.3308, 0.5000, 0.6668)
Hg (0.6692, 0.5000, 0.3332)
Hg (0.6705, 0.0000, 0.3261)
Pd (0.1704, 0.2485, 0.3346)
Pd (0.1704, 0.7515, 0.3346)
Pd (0.5000, 0.2514, 0.0000)
Pd (0.5000, 0.7486, 0.0000)
Pd (0.8296, 0.2485, 0.6654)
Pd (0.8296, 0.7515, 0.6654)

The 8 most intense peaks (10° ≤ 2θ ≤ 90°), by angle:
d [Å]	2θ (°)	intensity
2.382	37.8	100.0
2.174	41.5	38.3
1.884	48.3	16.0
1.539	60.1	6.4
1.424	65.6	20.5
1.293	73.2	14.4
1.291	73.4	14.2
1.163	83.0	7.9

---

[2]
Starting from a DFT-relaxed cell (PBE, Alexandria), the powder diffractogram of USi2Ni10 was computed for Cu Ka.
Lines closer than 0.1° are merged.

Structural model:
abc: 6.1882 6.1882 6.1882
angles: 134.31 100.87 96.47
Fractional positions:
U (0.0000, 0.0000, 0.0000)
Si (0.2501, 0.7501, 0.5000)
Si (0.7499, 0.2499, 0.5000)
Ni (0.0000, 0.0000, 0.5000)
Ni (0.0000, 0.5000, 0.0000)
Ni (0.1812, 0.5000, 0.6812)
Ni (0.3414, 0.0000, 0.3414)
Ni (0.3529, 0.3529, 0.0000)
Ni (0.5000, 0.0000, 0.0000)
Ni (0.5000, 0.5000, 0.5000)
Ni (0.6471, 0.6471, 0.0000)
Ni (0.6586, 0.0000, 0.6586)
Ni (0.8188, 0.5000, 0.3188)

The 8 most intense peaks (10° ≤ 2θ ≤ 90°), by angle:
d [Å]	2θ (°)	intensity
5.697	15.6	45.8
2.595	34.6	46.4
2.305	39.1	92.2
2.076	43.6	93.6
2.061	43.9	51.2
2.051	44.1	60.5
2.041	44.4	60.0
2.012	45.1	100.0

---

[3]
Starting from a DFT-relaxed cell (PBE, Alexandria), the powder diffractogram of Cs4Rb3Se was computed for Cu Ka.
Lines closer than 0.1° are merged.

Structural model:
abc: 11.2107 13.8208 9.8297
angles: 90.00 90.00 90.00
Fractional positions:
Cs (0.0512, 0.2500, 0.2304)
Cs (0.2500, 0.5763, 0.4870)
Cs (0.2500, 0.9237, 0.4870)
Cs (0.4488, 0.2500, 0.2304)
Cs (0.5512, 0.7500, 0.7696)
Cs (0.7500, 0.0763, 0.5130)
Cs (0.7500, 0.4237, 0.5130)
Cs (0.9488, 0.7500, 0.7696)
Rb (0.2500, 0.2500, 0.7401)
Rb (0.2500, 0.5718, 0.9819)
Rb (0.2500, 0.9282, 0.9819)
Rb (0.7500, 0.0718, 0.0181)
Rb (0.7500, 0.4282, 0.0181)
Rb (0.7500, 0.7500, 0.2599)
Se (0.2500, 0.7500, 0.7450)
Se (0.7500, 0.2500, 0.2550)

The 8 most intense peaks (10° ≤ 2θ ≤ 90°), by angle:
d [Å]	2θ (°)	intensity
8.010	11.0	61.9
5.605	15.8	34.8
4.268	20.8	100.0
4.005	22.2	91.6
3.695	24.1	35.5
3.117	28.6	30.8
2.499	35.9	44.7
2.017	44.9	27.1

---

[4]
Starting from a DFT-relaxed cell (PBE, Alexandria), the powder diffractogram of MgSn2 was computed for Cu Ka.
Lines closer than 0.1° are merged.

Structural model:
abc: 7.9642 7.9642 5.5998
angles: 90.00 90.00 154.08
Fractional positions:
Mg (0.2167, 0.7833, 0.7500)
Mg (0.7833, 0.2167, 0.2500)
Sn (0.1221, 0.8779, 0.2500)
Sn (0.4487, 0.5513, 0.2500)
Sn (0.5513, 0.4487, 0.7500)
Sn (0.8779, 0.1221, 0.7500)

The 8 most intense peaks (10° ≤ 2θ ≤ 90°), by angle:
d [Å]	2θ (°)	intensity
7.761	11.4	43.1
2.956	30.2	29.8
2.940	30.4	42.3
2.800	32.0	49.2
2.603	34.5	100.0
2.348	38.3	60.0
2.027	44.7	29.9
1.422	65.7	24.0

---

[5]
Starting from a DFT-relaxed cell (PBE, Alexandria), the powder diffractogram of Tm2Al9Rh3 was computed for Cu Ka.
Lines closer than 0.1° are merged.

Structural model:
abc: 7.5189 7.5189 9.4306
angles: 90.00 90.00 60.60
Fractional positions:
Tm (0.0047, 0.6724, 0.7500)
Tm (0.3276, 0.9953, 0.7500)
Tm (0.6724, 0.0047, 0.2500)
Tm (0.9953, 0.3276, 0.2500)
Al (0.0005, 0.6643, 0.0758)
Al (0.0005, 0.6643, 0.4242)
Al (0.1281, 0.8719, 0.2500)
Al (0.3327, 0.6673, 0.5516)
Al (0.3327, 0.6673, 0.9484)
Al (0.3357, 0.9995, 0.0758)
Al (0.3357, 0.9995, 0.4242)
Al (0.3400, 0.4489, 0.2500)
Al (0.4489, 0.3400, 0.7500)
Al (0.5511, 0.6600, 0.2500)
Al (0.6600, 0.5511, 0.7500)
Al (0.6643, 0.0005, 0.5758)
Al (0.6643, 0.0005, 0.9242)
Al (0.6673, 0.3327, 0.0516)
Al (0.6673, 0.3327, 0.4484)
Al (0.8719, 0.1281, 0.7500)
Al (0.9995, 0.3357, 0.5758)
____________
### Solution
5